About the EEC

The Environmental Education Collaborative (EEC) is a grassroots alliance that works to elevate environmental education to a new level of importance and urgency.

The EEC strives to develop resources that support environmental education programs, so that everyone has the opportunity to experience nature and to learn about caring for our natural resources.

The EEC works to:
• bring funding to the region to increase environmental literacy
• develop a resource network to support and promote existing programs
• monitor and influence environmental education policy and initiatives.

We invite you to join with us in supporting the EEC of Riverside and San Bernardino Counties.

Are you concerned about the care of our natural world and the future of our children?

Help Elevate Environmental Literacy with the EEC

Join the Environmental Education Collaborative (EEC), a grassroots organization that works to increase funding, programs, and policies for environmental education (EE) in Riverside and San Bernardino Counties. EEC is an inclusive network that promotes existing programs at non-formal sites, including nature centers, parks, museums, and outdoor camps. We collaborate with teachers, school districts, program providers, businesses, and organizations. With people like you and the support of over
50 local partners, we can elevate EE to a new level of importance and urgency.

Visit our website to sign up for our free, periodic newsletter.

  • Attend our monthly meetings.
  • Join our social media sites and share your events at our
    Facebook Group page.

All EEC organizational members are provided a free basic listing on our website and when we reprint the Environmental Learning Resources guide.

History of the Environmental Education Collaborative

During 2014, a variety of organizations met to explore how Environmental Education (EE) funding, influence, and networking might be improved in San Bernardino and Riverside counties. Diana Fox of Reach Out, a social service non-profit, facilitated for the group’s planning efforts. The participants selected the Stanford University Collaborative Impact Model to follow and became the EE Collaborative Task Force. The original participants included:

  • The Community Foundation (now Inland Empire Community Foundation and our fiscal sponsor)
  • Riverside Land Conservancy (now Rivers and Lands Conservancy)
  • Santa Rosa Plateau Nature Education Foundation
  • The Wildlands Conservancy
  • Reach Out
  • Santa Ana Watershed Association 
  • CREEC (California Regional Environmental Education Community, now defunded in our region).

The Task Force gained support from Riverside and San Bernardino Counties’ Offices of Education and reviewed five documents that validated the need for a local EE initiative:  

  • California’s Environmental Education Initiative (EEI)
  • the Inland Empire Community Foundation’s Environmental Initiative
  • the California Department of Education’s Blue Print for Environmental Literacy
  • and initiatives of the Children and Nature Network and North American Association of Environmental Education (NAAEE).

The first EEC Symposium was held in February of 2015 with over 120 participants from 75+ organizations who shared ideas and laid the foundation for beginning the Environmental Education Collaborative (EEC). Since then, an annual symposium has been used to share and gather resources, grow a network, and work toward EEC’s goals:

  • to engage and influence funders, community members, and businesses to support an Environmental Education program resulting in increased environmental literacy
  • to identify, promote, and leverage existing EE programs and resources
  • to influence local and state environmental education policy and initiatives.

EEC Board & Advisory Board

Board & Committee Leads

Jackie Gardner
San Jacinto Unified School District


Jenifer Lopez-Valdez
The Wildlands Conservancy


Mary Valdemar

Equality and Justicemvaldema@valleycollege.edu

Jen Futterman

Art & Writing Contestjenniferevefutterman@gmail.com

Carol Kinzel
San Bernardino Mountains

Outreach Chair kinzel1812@aol.com

Diana Ruiz

== What comes next are crystal structures, not part of the text ==
********
# Nb4FeTe4, optimized geometry, DFT PBE-GGA
data_Nb4FeTe4
_cell_length_a 10.6548
_cell_length_b 18.4700
_cell_length_c 4.8888
_cell_angle_alpha 90.00
_cell_angle_beta 90.00
_cell_angle_gamma 90.00
_symmetry_space_group_name_H-M 'P 1'
_symmetry_Int_Tables_number 1
loop_
_symmetry_equiv_pos_as_xyz
'x,y,z'
loop_
_atom_site_label
_atom_site_type_symbol
_atom_site_fract_x
_atom_site_fract_y
_atom_site_fract_z
_atom_site_occupancy
Nb1 Nb 0.0657 0.1192 0.0000 1
Nb2 Nb 0.1007 0.8892 0.5000 1
Nb3 Nb 0.1939 0.0585 0.5000 1
Nb4 Nb 0.2085 0.9626 0.0000 1
Nb5 Nb 0.2915 0.4626 0.0000 1
Nb6 Nb 0.3061 0.5585 0.5000 1
Nb7 Nb 0.3993 0.3892 0.5000 1
Nb8 Nb 0.4343 0.6192 0.0000 1
Nb9 Nb 0.5657 0.3808 0.0000 1
Nb10 Nb 0.6007 0.6108 0.5000 1
Nb11 Nb 0.6939 0.4415 0.5000 1
Nb12 Nb 0.7085 0.5374 0.0000 1
Nb13 Nb 0.7915 0.0374 0.0000 1
Nb14 Nb 0.8061 0.9415 0.5000 1
Nb15 Nb 0.8993 0.1108 0.5000 1
Nb16 Nb 0.9343 0.8808 0.0000 1
Fe1 Fe 0.0000 0.0000 0.2507 1
Fe2 Fe 0.0000 0.0000 0.7493 1
Fe3 Fe 0.5000 0.5000 0.2507 1
Fe4 Fe 0.5000 0.5000 0.7493 1
Te1 Te 0.1102 0.2051 0.5000 1
Te2 Te 0.1440 0.4352 0.5000 1
Te3 Te 0.1680 0.5996 0.0000 1
Te4 Te 0.1714 0.8102 0.0000 1
Te5 Te 0.3286 0.3102 0.0000 1
Te6 Te 0.3320 0.0996 0.0000 1
Te7 Te 0.3560 0.9352 0.5000 1
Te8 Te 0.3898 0.7051 0.5000 1
Te9 Te 0.6102 0.2949 0.5000 1
Te10 Te 0.6440 0.0648 0.5000 1
Te11 Te 0.6680 0.9004 0.0000 1
Te12 Te 0.6714 0.6898 0.0000 1
Te13 Te 0.8286 0.1898 0.0000 1
Te14 Te 0.8320 0.4004 0.0000 1
Te15 Te 0.8560 0.5648 0.5000 1
Te16 Te 0.8898 0.7949 0.5000 1
# Total moment = 1.0 Bohr magnetons per cell
# DFT total energy = -7.263 eV/atom
# Space-group type = Pbam


# Ba2DyMgNbO6, optimized geometry, DFT PBE-GGA
data_Ba2DyMgNbO6
_cell_length_a 6.0185
_cell_length_b 6.0185
_cell_length_c 6.6921
_cell_angle_alpha 116.80
_cell_angle_beta 116.80
_cell_angle_gamma 59.93
_symmetry_space_group_name_H-M 'P 1'
_symmetry_Int_Tables_number 1
loop_
_symmetry_equiv_pos_as_xyz
'x,y,z'
loop_
_atom_site_label
_atom_site_type_symbol
_atom_site_fract_x
_atom_site_fract_y
_atom_site_fract_z
_atom_site_occupancy
Ba1 Ba 0.0000 0.0000 0.0000 1
Ba2 Ba 0.5397 0.5397 0.6203 1
Dy1 Dy 0.2068 0.2068 0.6209 1
Mg1 Mg 0.3687 0.3687 0.1055 1
Nb1 Nb 0.7333 0.7333 0.2007 1
O1 O 0.4733 0.9602 0.3950 1
O2 O 0.4778 0.4778 0.9420 1
O3 O 0.4784 0.9860 0.9428 1
O4 O 0.9602 0.4733 0.3950 1
O5 O 0.9605 0.9605 0.3957 1
O6 O 0.9860 0.4784 0.9428 1
# Total moment = 0.0 Bohr magnetons per cell
# Space-group type = Cm
# Offset from the most stable computed form = 66 meV per atom


# Li8CrS6, optimized geometry, DFT PBE-GGA
data_Li8CrS6
_cell_length_a 6.8518
_cell_length_b 6.8518
_cell_length_c 13.3708
_cell_angle_alpha 90.00
_cell_angle_beta 90.00
_cell_angle_gamma 120.00
_symmetry_space_group_name_H-M 'P 1'
_symmetry_Int_Tables_number 1
loop_
_symmetry_equiv_pos_as_xyz
'x,y,z'
loop_
_atom_site_label
_atom_site_type_symbol
_atom_site_fract_x
_atom_site_fract_y
_atom_site_fract_z
_atom_site_occupancy
Li1 Li 0.0000 0.3145 0.0000 1
********


Caroline Conway


Pam Johnson
ECOS Institute

Prior Chair


Celia Cudiamat

IE Community Foundation


Our Sponsors

EEC would like to thank all the organizations that support this work. Please see our many symposium sponsors under symposium.

Action Driven Inquiry


Inland Empire Resource Conservation District


SkyPark at Santa's Village


Santa Rosa Plateau Nature Education Foundation


Chino Basin Water Conservation District


Emerald Cove Outdoor Science Institute




Riverside-Corona Resource Conservation District


Riverside County Habitat Conservation Agency


Girl Scouts of San Gorgonio


The Wildlands Conservancy


Western Riverside Council of Governments


Eastern Municipal Water District



EEC would like to thank all the organizations that support this work.

Pony Barnes Foundation




Southern California Edison
